Thursday, November 25, 2010

Rhodes Rhitual – The Day of Gathering.


I would like to acknowledge the traditional owners of this email and thank them for allowing us to commune in this sacred place.

Today is a special day, one that has occurred rarely throughout the millennia and, as such, must not pass unacknowledged……..

For today is the Day of Gathering. 

For it is written that the Day of the Gathering is the Time of the Quickening, when all of the Heroes of the Clans meet, cast off the yokes of their mortal bodies, and transcend this world, metamorphosing to embodiments of their highest potential – Easy Riders. 

The Riders of the Highlands of the North assembled at the place where the Old Ones foretold this very morning. They were ready, faces chiseled as hard as their reputations; loins tense and taut with the importance (not impotence) of this day. Great men of Wisdom and Deed from all the Clans of the North converging to fulfill the promise of their Ancestry and bloodline.

Bullet McSporrin arrived with the sun at his back to be greeted by many a merry “Och Aye!” from members of the Highland Brethren including SatNav McLean, BT McTavish and Derek McDerek. Spirits were high at the prospect of the morning ritual of feasting, wassailing and visual pheasant plucking – not the least was the hearty favour being poured upon the bonny maiden Justine McBride.

The mood quickly turned at the arrival of Drastic MacBeth, Overlord and Chieftain of the North’s most feared Clan. 

“Brothers, our time has come. We ride.”

“But we are not all here, MacBeth,” protested Young Robbie “Contador” McCain, “Where is the Prince of the Pymble Clan; Phantom the Bruce?”

“His is an awesome undertaking,” replied MacBeth, “I have read in the runes that he is to go before and prepare the way for the Quickening. He will meet us in the place of the Standing Stones – The Turra Bowlo. Will you accompany us?”

Robbie McCain shuffled uncomfortably, “Noble Drastic, my wife is heavy with our third child and is fearful of bringing the bairn in the world without a father. She is calling me to be at her side during this time.”

“Three bairns…………..? Ah, McCain, you’ve done it again!” Came the call of the Clansmen. And off they went.

Pouring out the North, the Clansmen rampaged toward the West, strengthening their forces as they went; they were joined by The Laird of Warrawee – Fergus the Mighty, Chippo of Aberdeen Angus and  Bucky McBagel. Leading the charge was MacBeth with Derek McDerek nipping at his heels like a cranky border collie.

On a distant range, the melancholy moan to “Speed Bonny Boat” could be heard, singing the Clansmen to their Spiritual home – The Standing Stones of Turra Bowlo.

Suddenly there was a hissing noise that sounded like air being squeezed out of those sad pipes; Derek McDerek ground to a halt as his ride could no longer proceed – flat tyre. Drastic MacBeth forged on in blind resolve.

“Flat tyre, Drastic!” cried Bullet, “We must wait! We are Highlanders! We cannot leave him lest he perish!

“There can be only one, McSporrin! That is the Way of the Quickening!”

Drastic MacBeth was not sighted again until after much pillaging, looting, hooting and tooting he was found at Bullet McCafe, idling time in the company of Half a Haggis, Phil McCavity and Andy……….McDaid (eh?).  

Arrival of the Clans quickly brought talk of The Quickening, and it was agreed that they would push North to The Standing Stones of the Turra Bowlo  at the earliest time possible; there to drink ale, gorge on red meat, tatties and neeps; and “fling” naked around the Standing Stones in honour of the Day of Gathering.

This is what it is to be Easy Riders…………………………….. well, maybe not the “flinging” naked bit.

Thursday, October 14, 2010

Rhodes Rhampage

Rhodes: The final frontier….

These are the voyages of the Starship, Easy Rider
Its weekly mission;
  • To explore strange new routes
  • To seek out new coffee stops and new species of fauna
  • To boldly commute where no cyclist has commuted before.
Star Date 151010.

Six Alliance members assembled for Federation briefings in the Kisso Constellation:
  • Commander Spock Phanto
  • First Officer Yuri SatNav
  • Ships Engineer “Scotty” Chippo
  • Ships Doctor “Bones” Bullet
  • Lieutenant TFS Sulu
  • Ensign Richard “Lynskey” Uhura
Transmissions had been intercepted that the Rhomulans were planning a raid on the Bullet System (Federation member) looting, pillaging and generally absconding in a strategic play to secure viewing rights to the wealth of resources on display during the celestial event known as the Aurora Fauna Occulus. The raiding party was headed by non-other than the Evil Rhomulan Warlord - Half Khan, ably abetted by the Dastardly Commander Beebs.

The point of attack was said to be out of the Marshmallow Nebuli.
In the absence of The Captain (on extended furlough) Commander Spock Phantom took the helm;

“Gentlemen, the logical course of action would be to reach the Bullet System before the Rhomulans, commandeer the strategic positions, use the element of surprise to gain the advantage, and negotiate a peaceful treaty.”

Bones Bullet retorted, “And just how do you plan to do that, Pin Ears? The Marshmallow Nebuli is far and away the most direct route. They’ll be there parsecs before us.”

Satnav concurred adding, “Ve vill be a long vay behind and wery much slower, according to ze co-ordinets, Keptin….. excuse me, Kommenda.”

“Then we haven’t a moment to lose,” replied Spock Phantom, “Mr Chippo, prepare for the jump to hyperspace, set thrust to a warp factor of 8.”

“Hoots, toots, och aye the noo, Commander! She’s only just had a service and the new Dilithium Crahnkset  hasne  bin ron in, but I’ll do ma’ best .“ replied Scotty Chippo.

Strapping themselves in for an intergalactic adventure against impossible odds Spock gave the command, “Jump to Hyperspace!”

Bones grumbled, “Of all hair-brained, pin headed, Vulcan ideas……. I wish the Captain was here.”

As the Universe dissolved into an algorithmic equation, the space time continuum prolapsed creating a vortex of pulsating energy that hurtled the Easy Rider through space at mind bending speeds. The Meadowbank Miasma became a vapour of perception, the Concordia Belt slipped seamlessly through view and the Five Dock Black Hole remained just that. 

Before you could say “I seem to having a problem with my lifestyle” the Easy Rider was traversing the Lilyfield Asteroid belt. Spock looked at his Parsecometer. 

“Mr Chippo, we can still make it. Can you go any faster….”

“She’s givin me all she’s gort, Comander. Ah canna do eny more. If ah doo shill break ento pieces” cried the desperate Chief Engineer.

“Then divert all power from the shields and re-direct to the main engines! Do it now!”

“Ah dornt know if it’ll werk and it’ll leave us vulnerable to the Rhomulans. Half Khan taekes nor prisoners!” Chippo protested in his thickest Scottish brogue.

“That’s an order, Mr Chippo!”
“You’ll kill us all you Logic obsessed Pixie!” Bones Bullet howled.

“We’re almost there. Set water bottles to stun, let’s not start an intergalactic incident unless they squirt first.”

The Easy Rider arrived at the Bullet System ahead of the Rhomulans traversing the Western Galaxy in an incredible 60 parsecs to secure the prime viewing positions for occurrence of the Aurora Fauna Occulus.

Half Kahn was indignant in defeat, “Curse you Spock, I will have my revenge. Make mine a latte.”

All’s well, order restored to the Universe.

Thursday, September 30, 2010

Rhodes Rhesponse - Media Approved

**Media Release - Clearance Approved**

Due to certain recent events, accusations have been made centring on two core issues. I refer to reports by Mr SatNav yesterday via email which clearly state:
    1.“Bullet may have to re-spray his Astana coloured Trek for fear of guilt by association,” and 2.“- his escalation in form in his 7 months of riding has been quite remarkable.....”

Whilst loathe to dignify such spurious claims that verge on outrageous at best and libellous at worst,  with any sort of response;  I am compelled to protect my reputation which has been called into question; the damage from which  I may never recover.

To the first point:

There can be no question that I gain an advantage from riding such an attractive two-wheeled steed as this. However, it does not so much enhance my riding performance as diminish that of the peloton.

I empathise with you as ponder the delicate interplay of pastel colours, the clean lines and divine decals, the subtle Euro styling – let’s face it, it’s downright hot! I too would be spellbound by such a sight, my legs too would go to jelly, and my impetus to drive onwards would desert me. I don’t blame you; you’re only human, after all.

I can only apologise for that which Providence has deigned to bless me in ample abundance….. it’s a burden, but one I carry with appropriate martyrdom.

To the second point:

I admit that recent tests have returned higher than normal levels of clenbuterol in my system. This is merely a coincidence with my more famous and almost as handsome counterpart. Though uncommon, there is recorded evidence that increased levels of clenbuterol can result from ingesting meat such as beef; the animal being fed the substance in order to reduce fat and create a leaner product.

Independent analysts and medical specialist have been poring over my case in recent hours and have identified the source of this uncommon occurrence in my body chemistry. They have searched, investigated, drilled down, eliminated through process and derived the only possible explanation that can be supported by science – bagels.

We have identified an EWOTY stop in previous weeks where one of the Comrades entreated the group to partake of his bagel in his absence for fear that the establishment would no longer support his dependence – nay, addiction – to the said pastry. I in my naivety agreed and consumed the item, unaware of the calamitous ramifications of this simple action. I never knew that a bagel was made from beef – but there you go. 

The person who made this request I will not name (Mr Bucky), as it is not in my nature to slur a colleague – even when subterfuge and conspiracy have been at play - unlike Mr SatNav, who has seen a target and taken a pot shot with little regard to outcomes and long term effects.

I will continue to work to clear my name, commute with my heart on my sleeve, pee into a jar on demand and never, ever, ever, eat another bagel.

I have nothing to hide, but will not be taking questions.

Thursday, September 23, 2010

Rhodes Rangers

For heightened reading experience, please use the following link for the purposes of underscore

6.20am – Standing  in the front of the mirror looking resplendent in latest bike porn purchase from “Yes Bullet, you still got it.”

6.26am – Kisso. First to arrive. Then there was one.

6.30am – Phantom arrives debonair as always styled by Santini (plug for sponsor). Fails to notice bike porn. Humph. Then there were 2.

6.33am – B2B brethren arrive and immediately threatened by ER’s in dashing kit. We head off.

6.35am – Kisso and Commenara lights. PD pulls up. No oil painting but always welcome on board. Then there were 3.

6.38am – Climb out of Brown’s Waterhole. Encounter Bucky trapped in winter wardrobe. Cutting a smooth euro line in Bucky Couture – alluring yet understated.  Then there were 4.

6.40am – Top of the Waterhole. Chippo awaits. Enigmatic. Cool and casual as always. How does that man look so good? Whispers of concern that he may return to sandals as the weather warms, God forbid. Then there were 5.

6.41am – First roundabout. Eric meets the Magnificents, limping on a loaner as he awaits insurance assessors. Gaudy in Orange (I think), I defer to his 5 days in a row commute. Legs burning with pain, cheeks flushing with self-consciousness as he espies Phantom’s pret-a-commute wear. The Benchmark. Then there were 6.

Records of crystals that have nothing to do with the piece.
/*
First-principles (meta-GGA r2SCAN) data for a geometry-optimized Si2Ni6B structure, as listed in the Materials Project database.

Output
Formation energy in meV per atom: -460.8
Total moment in μB/cell: 0.0

Cell lengths 6.0719, 6.0719, 2.8154 Å; angles 90.00, 90.00, 120.00 degrees
Space group P-62m (No. 189)
One atom of each set of equivalent atoms:
Si 0.3333 0.6667 0.0000 [2 per cell]
Ni 0.0000 0.2451 0.0000 [3 per cell]
Ni 0.0000 0.6104 0.5000 [3 per cell]
B 0.0000 0.0000 0.5000 [1 per cell]
*/

6.43am – Epping Road lights. Richard-on- Lynskey joins the party. Kinda punk, a bit retro, always cool. Lynskey cassette chatters merrily confirming our suspicion that if you’re making a lot of noise, then you must be having a good time. Then there were 7, hence the underscore.

6.50am – Blaxland Road lights. Browney arrives. Undermines allusion. Typical of a fixie. Riding and dressing to his own renegade tune, we look in in a mixture of awe, jealousy and (mild) disgust. Then there were 8.

6.51 – 7.49am – Rhoaming the Rhodes Rhanges and pondering:

  • ·         SatNav’s absence – preparing for the long haul to Bowral tomorrow including a climb up the infamous Macquarie Pass (not bank).  We all have our own personal Everest; Satnav’s just happens to be near Wollongong. Never mind.
  • BT freesocking his way into the office; footloose with a hint of odour.
  • RTG taking the Captain’s route for an early Friday meeting demonstrating a clear lack of ability when it comes to foresight and planning
  • Drastic and 52 heading off to the Masters event in Victoria. Our thoughts and best wishes are with you. We trust you will ride like men escaping a Freudian  analysis and look forward to yarns dripping with metaphor. Stay safe. God’s speed to you.

7.50am – Café Bullet. Only four survive – Phantom, Eric, Bucky, Humble Scribe. All bar Eric take positions on near side of table, looking fabulous though a little obvious. Eric curses his lack of strategy as study and sample period commences.

7.51am – Café Bullet. Mark passing fauna. Conversation ceases.

7.53am – Café Bullet. Mark passing fauna. Acknowledge the timeless appeal of British racing green (see Bucky).

7.51am – Café Bullet. Mark passing fauna. The Lord of Warrawee arrives, disrupting sightlines. Takes position on near side of the table. Go figure.

7.56am – Café Bullet. Mark passing fauna. Conversation ceases.

7.58am – Café Bullet. Mark passing fauna. A particularly good example. Phantom chokes on bacon and egg sanger. 

8.01am – Café Bullet. Mark passing fauna. Conversation ceases.

8.03am – Café Bullet. Mark passing fauna. Bucky sings the praises of Bircher muesli again.

8.05am – Café Bullet. Mark passing fauna. Conversation ceases.

8.17am – Depart Café Bullet. Sated and spent. Call goes up to re-convene at Groingate. “Here, here!” the resounding approval. Pats on back. Fond farewells. Bonded through shared experience. This surely is the commute of the week.

Usual departure 5.15pm SHB with or without socks.

Bullet (Le)